An Enquiry Concerning the Principles of Morals eBook

This eBook from the Gutenberg Project consists of approximately 167 pages of information about An Enquiry Concerning the Principles of Morals.

An Enquiry Concerning the Principles of Morals eBook

This eBook from the Gutenberg Project consists of approximately 167 pages of information about An Enquiry Concerning the Principles of Morals.

But all prospect of success in life, or even of tolerable subsistence, must fail, where a reasonable frugality is wanting.  The heap, instead of increasing, diminishes daily, and leaves its possessor so much more unhappy, as, not having been able to confine his expences to a large revenue, he will still less be able to live contentedly on a small one.  The souls of men, according to Plato [Footnote:  Phaedo.], inflamed with impure appetites, and losing the body, which alone afforded means of satisfaction, hover about the earth, and haunt the places, where their bodies are deposited; possessed with a longing desire to recover the lost organs of sensation.  So may we see worthless prodigals, having consumed their fortune in wild debauches, thrusting themselves into every plentiful table, and every party of pleasure, hated even by the vicious, and despised even by fools.

The one extreme of frugality is avarice, which, as it both deprives a man of all use of his riches, and checks hospitality and every social enjoyment, is justly censured on a double account.  Prodigality, the other extreme, is commonly more hurtful to a man himself; and each of these extremes is blamed above the other, according to the temper of the person who censures, and according to his greater or less sensibility to pleasure, either social or sensual.

+++
No. 1
Computed, not measured: a single C19H23NO3 molecule, with the ωB97M-V functional and the def2-TZVPD basis.

Positions of all 46 atoms, in Å:
C (-2.25, -5.70, 0.01)
O (-2.38, -4.46, -0.62)
C (-1.71, -3.38, -0.09)
C (-0.97, -3.44, 1.09)
C (-0.34, -2.33, 1.61)
C (-0.43, -1.11, 0.97)
C (-1.15, -1.04, -0.21)
C (-1.78, -2.14, -0.76)
O (-2.47, -1.88, -1.92)
C (-2.82, -2.93, -2.80)
H (-1.96, -3.57, -3.02)
H (-3.15, -2.43, -3.71)
H (-3.63, -3.54, -2.40)
H (-1.22, -0.11, -0.75)
C (0.27, 0.11, 1.49)
C (1.57, 0.37, 0.73)
O (1.86, -0.15, -0.32)
N (2.38, 1.25, 1.36)
H (2.06, 1.69, 2.21)
C (3.64, 1.69, 0.83)
C (3.73, 3.21, 0.68)
H (3.42, 3.68, 1.62)
H (4.77, 3.48, 0.50)
C (2.87, 3.75, -0.47)
C (1.40, 3.51, -0.30)
C (0.71, 4.06, 0.77)
C (-0.65, 3.86, 0.92)
C (-1.35, 3.12, -0.02)
C (-0.67, 2.58, -1.11)
C (0.69, 2.77, -1.24)
H (1.21, 2.34, -2.08)
H (-1.21, 2.02, -1.85)
H (-2.41, 2.97, 0.08)
H (-1.17, 4.29, 1.76)
H (1.24, 4.66, 1.50)
H (3.21, 3.29, -1.40)
H (3.05, 4.83, -0.55)
H (4.45, 1.35, 1.49)
H (3.75, 1.20, -0.14)
H (-0.36, 0.99, 1.37)
H (0.50, -0.01, 2.55)
H (0.22, -2.42, 2.53)
H (-0.89, -4.38, 1.62)
H (-1.20, -6.03, 0.05)
H (-2.66, -5.69, 1.02)
H (-2.82, -6.40, -0.60)

ΔE to the lowest compared entry with this formula, charge and spin   30.24 kcal per mole
Spin multiplicity   1

natural (NBO) atomic charge list, values in e, 2 entries: -0.248, -0.513


No. 2
Computed, not measured: a single C29H28ClN3OS molecule at a distorted geometry, with the ωB97M-V functional and the def2-TZVPD basis.

Positions of all 63 atoms, in Å:
C (-2.07, 4.67, -0.38)
N (-1.84, 3.25, -0.23)
C (-2.87, 2.38, -0.01)
O (-4.05, 2.69, 0.13)
C (-2.26, 0.98, 0.07)
C (-2.79, 0.03, -1.01)
C (-4.27, -0.25, -0.86)
C (-5.14, 0.04, -1.91)
C (-6.52, -0.08, -1.71)
C (-7.01, -0.54, -0.48)
C (-6.12, -0.91, 0.54)
C (-4.75, -0.77, 0.35)
N (-0.84, 1.24, -0.07)
C (0.06, 0.20, 0.01)
C (1.39, 0.34, -0.10)
C (2.41, -0.75, 0.21)
C (3.87, -0.41, -0.17)
C (4.85, -1.40, -0.15)
C (6.21, -1.07, -0.32)
C (6.59, 0.27, -0.51)
C (7.97, 0.64, -0.63)
N (9.10, 0.95, -0.74)
C (5.60, 1.24, -0.63)
C (4.26, 0.90, -0.45)
C (-0.51, 2.65, -0.29)
C (0.12, 2.92, -1.66)
C (0.39, 3.24, 0.81)
H (-3.14, 4.85, -0.28)
H (-1.53, 5.23, 0.40)
H (-1.72, 5.02, -1.36)
H (-2.48, 0.56, 1.07)
H (-2.59, 0.49, -1.99)
H (-2.22, -0.91, -0.96)
H (-4.73, 0.40, -2.86)
H (-7.20, 0.20, -2.51)
H (-8.09, -0.62, -0.32)
H (-6.50, -1.29, 1.49)
H (-4.03, -1.04, 1.13)
H (-0.41, -0.78, 0.16)
H (1.76, 1.30, -0.40)
H (2.39, -0.94, 1.30)
H (4.59, -2.45, -0.01)
H (6.98, -1.84, -0.28)
H (5.88, 2.27, -0.82)
H (3.52, 1.70, -0.54)
H (-0.59, 2.65, -2.46)
H (0.37, 3.99, -1.73)
H (1.03, 2.34, -1.81)
H (-0.16, 3.25, 1.76)
H (1.30, 2.65, 0.94)
H (0.66, 4.27, 0.53)
Cl (-1.70, -5.12, 2.24)
C (-0.04, -4.81, 1.94)
C (0.97, -5.55, 2.57)
C (2.32, -5.25, 2.31)
C (2.66, -4.21, 1.44)
C (1.64, -3.45, 0.82)
S (1.94, -2.30, -0.51)
C (0.29, -3.76, 1.08)
H (0.69, -6.36, 3.25)
H (3.11, -5.84, 2.79)
H (3.69, -3.95, 1.21)
H (-0.48, -3.15, 0.62)

Spin multiplicity   1
+++

Qualities often derive their merit from complicated sources.  Honesty, fidelity, truth, are praised for their immediate tendency to promote the interests of society; but after those virtues are once established upon this foundation, they are also considered as advantageous to the person himself, and as the source of that trust and confidence, which can alone give a man any consideration in life.  One becomes contemptible, no less than odious, when he forgets the duty, which, in this particular, he owes to himself as well as to society.

Perhaps, this consideration is one chief source of the high blame, which is thrown on any instance of failure among women in point of chastity.  The greatest regard, which can be acquired by that sex, is derived from their fidelity; and a woman becomes cheap and vulgar, loses her rank, and is exposed to every insult, who is deficient in this particular.  The smallest failure is here sufficient to blast her character.  A female has so many opportunities of secretly indulging these appetites, that nothing can give us security but her absolute modesty and reserve; and where a breach is once made, it can scarcely ever be fully repaired.  If a man behave with cowardice on one occasion, a contrary conduct reinstates him in his character.  But by what action can a woman, whose behaviour has once been dissolute, be able to assure us, that she has formed better resolutions, and has self-command enough to carry them into execution?

Project Gutenberg
An Enquiry Concerning the Principles of Morals from Project Gutenberg. Public domain.